WASHINGTON // Delivering his first State of the Union address, Barack Obama on Wednesday set out to generate new momentum for his presidency and win back an American public that many believed was slipping from his grasp. To do that, he reverted to themes that dominated his presidential campaign, pledging to fight for the everyman against corporate interest, clean up Washington, bring bipartisanship and, of course, offering a message of hope.
(Molecular data, kept here for reference)
+++
No. 1
ORCA calculation (wB97M-V/def2-TZVPD) on a structure of composition C16H38ClNPSmY.

XYZ file:
```
59
Properties=species:S:1:pos:R:3:mulliken_spin:R:1
Sm -0.45 -0.57 -2.14 5.11
Cl -0.70 1.79 -3.66 0.00
C -2.57 -1.38 -1.59 -0.04
H -2.82 -2.20 -0.90 0.00
H -2.80 -1.70 -2.63 0.00
H -3.21 -0.51 -1.34 0.00
Y -0.25 0.39 -5.83 -0.01
C -2.16 0.82 -7.21 0.00
C 1.69 1.43 -6.67 0.00
C -0.08 -1.53 -4.60 -0.03
H 2.46 1.32 -5.89 0.00
H 2.20 1.35 -7.65 0.00
H 1.30 2.47 -6.68 0.00
H -3.07 0.40 -6.72 0.00
H -2.16 1.93 -7.11 0.00
H -2.24 0.65 -8.29 0.00
H -0.75 -2.39 -4.74 0.00
H 0.81 -2.18 -4.53 0.00
C 0.15 -2.67 0.85 0.00
C -0.25 -1.71 1.98 0.00
C -1.76 -1.80 2.17 0.00
C 0.44 -2.14 3.29 0.00
P 0.21 0.04 1.44 -0.01
N -0.08 0.05 -0.15 -0.03
C -0.72 1.35 2.44 0.00
C -0.75 1.00 3.94 0.00
C -0.14 2.77 2.33 0.00
C -2.15 1.40 1.91 0.00
C 2.03 0.39 1.76 0.00
C 2.84 -0.76 1.15 0.00
C 2.39 1.68 1.00 0.00
C 2.37 0.49 3.27 0.00
H 0.03 -3.74 1.15 0.00
H 1.17 -2.54 0.49 0.00
H -0.52 -2.51 -0.02 0.00
H -2.05 -2.86 2.15 0.00
H -2.09 -1.40 3.13 0.00
H -2.29 -1.31 1.35 0.00
H 1.53 -2.17 3.18 0.00
H 0.14 -1.49 4.12 0.00
H 0.11 -3.17 3.51 0.00
H -1.28 1.82 4.45 0.00
H -1.27 0.07 4.17 0.00
H 0.23 0.96 4.40 0.00
H -0.05 3.09 1.28 0.00
H -0.86 3.44 2.83 0.00
H 0.80 2.89 2.87 0.00
H -2.16 1.52 0.82 0.00
H -2.74 0.51 2.17 0.00
H -2.64 2.27 2.36 0.00
H 2.64 -0.84 0.07 0.00
H 3.91 -0.51 1.28 0.00
H 2.68 -1.73 1.64 0.00
H 2.13 2.58 1.56 0.00
H 3.48 1.69 0.85 0.00
H 1.88 1.68 0.02 0.00
H 1.88 1.35 3.74 0.00
H 2.11 -0.43 3.81 0.00
H 3.45 0.64 3.37 0.00
```

## Properties
* molecular weight: 550.18 g mol⁻¹
* Kohn-Sham gap (alpha / beta): 0.1965 / 0.1953 Ha
* <S²>: 8.7731
* electronic energy: -59456.1449 eV
* total charge: -1
* energy relative to the best compared isomer or geometry (same formula, charge and spin): 0.0 kJ/mol
* spin multiplicity: 6
* HOMO level (alpha / beta): -3.093 / -3.061 eV


No. 2
ORCA calculation (wB97M-V/def2-TZVPD) on a cluster of 2 separate species, C8H14N2S in total.

XYZ file:
```
25
Properties=species:S:1:pos:R:3:lowdin_charge:R:1
C -1.31 1.15 -2.00 -0.15
N -0.77 0.60 -0.79 -0.05
C -1.54 0.15 0.10 -0.63
N -1.10 -0.34 1.29 0.04
C -2.07 -0.82 2.13 -0.21
C -3.32 -0.71 1.65 -0.43
S -3.34 0.01 0.06 0.99
H -1.52 0.36 -2.73 0.08
H -2.24 1.70 -1.82 0.06
H -0.57 1.82 -2.43 0.06
H -0.11 -0.31 1.48 0.09
H -1.79 -1.22 3.08 0.12
H -4.24 -1.01 2.10 0.05
C 2.02 -0.10 1.36 -0.01
C 1.98 -0.10 0.03 -0.44
C 1.61 -1.33 -0.74 -0.07
C 2.34 1.09 -0.78 -0.06
H 1.82 -0.98 1.95 0.06
H 2.30 0.78 1.92 0.06
H 2.47 -1.67 -1.33 0.08
H 0.80 -1.09 -1.43 0.07
H 1.30 -2.14 -0.09 0.08
H 1.44 1.52 -1.21 0.05
H 2.84 1.85 -0.18 0.08
H 3.00 0.80 -1.60 0.08
```

## Properties
* molecular weight: 170.28 g mol⁻¹
* Kohn-Sham gap: 0.3066 Ha
* electronic energy: -22337.5565 eV
* total charge: 0
* energy relative to the best compared isomer or geometry (same formula, charge and spin): 126.6 kJ/mol
* structure (SMILES): C/N=c1/[nH]ccs1.C=C(C)C
* HOMO level: -7.581 eV


No. 3
+++
"I have never been more hopeful about America's future than I am tonight," the president said, despite a year that was marked by financial uncertainty and declining support. "Despite our hardships, our union is strong. We do not give up. We do not quit. We don't allow fear or division to break our spirit." Mr Obama's remarks, his third to a joint session of Congress, comes at a volatile time in his presidency, as voters are increasingly concerned with rising unemployment and the sluggish economic recovery. Mr Obama acknowledged "setbacks" in his first year, saying some of them "were deserved", but he also justified his largest initiatives, including a $787 billion (Dh2.89 trillion) stimulus package, which he credited with stabilising the financial system.
For the majority of his 70 minutes at the podium, Mr Obama focused on the economy. He announced new efforts to control the federal deficit, impose fees on banks that received government bailouts, and, most importantly, create jobs, a top priority for voters. The goal of the address was two-fold: to sympathise with a surge in populist anger aimed at Washington and Wall Street while also explaining why his policies are the best way to address the concerns of ordinary Americans.
"Some are frustrated; some are angry. They don't understand why it seems like bad behaviour on Wall Street is rewarded but hard work on Main Street isn't; or why Washington has been unable or unwilling to solve any of our problems," the president said. "I campaigned on the promise of change - change we can believe in, the slogan went. And right now, I know there are many Americans who aren't sure if they still believe we can change - or that I can deliver it."
Mr Obama unveiled a handful of job creation measures and said improving the unemployment rate is now his "number one" priority in 2010. Among the new initiatives is a plan to double US exports over the next five years, which he said would create two million jobs, and a proposal to provide tax credits to small business that hire workers or raise salaries. He also alluded to a building a network of high-speed rails across the country and talked of massive construction projects that will create jobs, such as new nuclear power plants and clean energy facilities.
"There's no reason Europe or China should have the fastest trains, or the new factories that manufacture clean energy products," he said. Saying it would relieve the burden on middle-class families, Mr Obama pledged to move forward with his top domestic priority, healthcare reform, which is in serious jeopardy after Republicans won a 41st seat in the Senate this month - enough to block the legislation. He did not provide specifics on how he will proceed, or whether his party would force a bill through Congress, but he reminded his Democratic allies that they enjoy their largest majority in decades. "People expect us to solve some problems, not run for the hills."
The possibility remains that Democrats could scale back the healthcare legislation and pursue incremental reforms, some of which may earn the support of Republicans. Mr Obama urged Republicans "to take another look" at the plan and said he hoped both sides would "come together" to find a bipartisan solution. "Do not walk away from reform. Not now," he said. Bipartisanship, as in his campaign, was an overarching theme of the address. Though both chambers of Congress are bitterly divided along party lines, Mr Obama said he will not give up on his pledge to change the tone of politics in Washington. Perhaps signalling a move to the centre, Mr Obama endorsed ideas traditionally supported by Republicans, including tax cuts, drilling for oil off the US coast, and a freeze on discretionary spending. Still, the president had some harsh words for the opposing party, which has voted in lockstep against his agenda. "Just saying no to everything may be good short-term politics, but it's not leadership," he said.
As he made positive gestures to Republicans, other sections of Mr Obama's speech were clearly meant to shore up his Democratic base. He announced, for example, his plan to repeal the military's "don't ask, don't tell" policy, which forbids gay soldiers from disclosing their sexual orientation. He had promised to end the policy during his campaign and his failure to do so in his first year stirred anger among liberals. The issue is sensitive for some military leaders and conservative groups which say relaxing the policy will lower morale of the troops and threaten "unit cohesion" in a time of war. Mr Obama devoted only a small portion of his speech to foreign policy, surprisingly for a president who spent much of his first year engaged in endeavours abroad and debating the war strategy in Afghanistan. He cited "unacceptable" security lapses that led to the attempted Christmas Day bombing of a US-bound jet, but also pointed to his administration success in fighting al Qa'eda.
"In the last year, hundreds of al Qa'eda's fighters and affiliates, including many senior leaders, have been captured or killed - far more than in 2008," he said. Mr Obama said the continued defiance of Iran's leaders has led to its increased isolation, and he grouped the Islamic Republic with North Korea, warning of stiffer sanctions to come. "As Iran's leaders continue to ignore their obligations, there should be no doubt: they, too, will face growing consequences," he said. "That is a promise." sstanek@thenational.ae